**Job**
Find "52.01" and "8.091 3.478" in the block below, and return these two lines and those between, please.

**Listing**
=====
Entry 1:
Theoretical XRD peak list
Compound: Pr4OsI5
Radiation: copper Kα
Structure: a structure optimized by DFT (PBE)
Kinematic intensities with the Lorentz-polarization factor, no thermal factor.

Crystal structure
```
Pr4OsI5
1.0
9.927 -2.167 0.000
9.927 2.167 0.000
-2.191 0.000 9.108
Pr Os I
4 1 5
Cartesian
-0.460 0.000 1.914
18.122 0.000 7.194
5.100 0.000 8.435
12.562 0.000 0.673
9.927 0.000 0.000
2.593 0.000 3.099
1.610 0.000 7.584
8.831 0.000 4.554
16.052 0.000 1.524
15.069 0.000 6.009
```

Top 8 peaks for 2θ = 5–70°, by angle:
| two_theta | I/Imax |
| --- | --- |
| 9.16 | 24 |
| 9.71 | 43 |
| 27.73 | 44 |
| 28.05 | 100 |
| 38.44 | 18 |
| 39.85 | 63 |
| 41.68 | 18 |
| 50.80 | 17 |


Entry 2:
Theoretical XRD peak list
Compound: TbPm5Tm12
Radiation: copper Kα
Structure: a structure optimized by DFT (PBE)
Kinematic intensities with the Lorentz-polarization factor, no thermal factor.

Crystal structure
```
TbPm5Tm12
1.0
9.181 -5.292 0.000
9.181 5.292 0.000
-2.021 0.000 5.781
Tb Pm Tm
1 5 12
Cartesian
0.000 0.000 0.000
2.043 0.000 2.886
4.099 0.000 5.779
8.171 0.000 2.891
12.242 0.000 0.002
14.298 0.000 2.896
6.128 3.518 0.004
5.111 1.780 2.890
8.171 3.521 2.891
9.181 1.786 0.000
10.213 3.518 5.777
11.230 1.780 2.892
5.111 -1.780 2.890
6.128 -3.518 0.004
9.181 -1.786 0.000
8.171 -3.521 2.891
11.230 -1.780 2.892
10.213 -3.518 5.777
```

Top 8 peaks for 2θ = 5–70°, by angle:
| two_theta | I/Imax |
| --- | --- |
| 30.94 | 34 |
| 31.01 | 100 |
| 35.92 | 45 |
| 35.98 | 22 |
| 51.76 | 40 |
| 61.43 | 19 |
| 61.56 | 10 |
| 61.60 | 28 |


Entry 3:
Theoretical XRD peak list
Compound: BC2
Radiation: copper Kα
Structure: a structure optimized by DFT (PBE)
Kinematic intensities with the Lorentz-polarization factor, no thermal factor.

Crystal structure
```
BC2
1.0
2.525 0.000 0.000
-1.263 2.187 0.000
0.000 0.000 13.695
B C
4 8
Cartesian
0.000 0.000 0.833
0.000 0.000 12.862
0.000 1.458 1.901
1.263 0.729 11.794
0.000 0.000 6.075
0.000 0.000 7.620
0.000 1.458 3.484
0.000 1.458 8.140
0.000 1.458 9.685
1.263 0.729 4.010
1.263 0.729 5.555
1.263 0.729 10.211
```

Top 8 peaks for 2θ = 5–70°, by angle:
| two_theta | I/Imax |
| --- | --- |
| 6.45 | 100 |
| 12.93 | 3 |
| 39.48 | 8 |
| 43.44 | 43 |
| 46.02 | 3 |
| 46.41 | 4 |
| 63.84 | 2 |
| 69.76 | 5 |


Entry 4:
Theoretical XRD peak list
Compound: Sc4As2O
Radiation: copper Kα
Structure: a structure optimized by DFT (PBE)
Kinematic intensities with the Lorentz-polarization factor, no thermal factor.

Crystal structure
```
Sc4As2O
1.0
6.647 0.000 0.000
0.000 10.462 0.000
0.000 0.000 3.715
Sc As O
8 4 2
Cartesian
0.753 1.989 0.000
1.433 9.853 1.858
1.891 4.622 1.858
2.570 7.220 0.000
4.077 3.242 0.000
4.756 5.839 1.858
5.215 0.608 1.858
5.894 8.473 0.000
0.587 7.066 1.858
2.737 1.836 1.858
3.910 8.626 1.858
6.061 3.395 1.858
0.000 0.000 0.000
3.324 5.231 0.000
```

Top 8 peaks for 2θ = 5–70°, by angle:
| two_theta | I/Imax |
| --- | --- |
| 23.95 | 31 |
| 28.86 | 47 |
| 36.93 | 52 |
| 37.31 | 100 |
| 37.89 | 65 |
| 44.40 | 30 |
| 49.04 | 27 |
| 52.01 | 24 |


Entry 5:
Theoretical XRD peak list
Compound: Y2ZnNi2Pt5
Radiation: copper Kα
Structure: a structure optimized by DFT (PBE)
Kinematic intensities with the Lorentz-polarization factor, no thermal factor.

Crystal structure
```
Y2ZnNi2Pt5
1.0
9.224 0.000 0.000
0.000 9.224 0.000
0.000 0.000 3.936
Y Zn Ni Pt
4 2 4 10
Cartesian
1.615 2.997 0.000
2.997 7.610 0.000
6.227 1.615 0.000
7.610 6.227 0.000
0.000 0.000 0.000
4.612 4.612 0.000
1.134 5.746 0.000
3.478 1.134 0.000
5.746 8.091 0.000
8.091 3.478 0.000
0.000 4.612 1.968
0.625 7.335 1.968
1.889 0.625 1.968
2.723 5.237 1.968
3.988 2.723 1.968
4.612 0.000 1.968
5.237 6.501 1.968
6.501 3.988 1.968
7.335 8.600 1.968
8.600 1.889 1.968
```

Top 8 peaks for 2θ = 5–70°, by angle:
| two_theta | I/Imax |
| --- | --- |
| 22.59 | 38 |
| 31.41 | 22 |
| 35.75 | 20 |
| 38.41 | 100 |
| 40.31 | 47 |
| 42.13 | 48 |
| 46.12 | 33 |
| 62.89 | 26 |


Entry 6:
Theoretical XRD peak list
Compound: Cs3Ga2Cl8
=====

**Reply**
| 52.01 | 24 |


Entry 5:
Theoretical XRD peak list
Compound: Y2ZnNi2Pt5
Radiation: copper Kα
Structure: a structure optimized by DFT (PBE)
Kinematic intensities with the Lorentz-polarization factor, no thermal factor.

Crystal structure
```
Y2ZnNi2Pt5
1.0
9.224 0.000 0.000
0.000 9.224 0.000
0.000 0.000 3.936
Y Zn Ni Pt
4 2 4 10
Cartesian
1.615 2.997 0.000
2.997 7.610 0.000
6.227 1.615 0.000
7.610 6.227 0.000
0.000 0.000 0.000
4.612 4.612 0.000
1.134 5.746 0.000
3.478 1.134 0.000
5.746 8.091 0.000
8.091 3.478 0.000